Brief
The reader should say how many lines of the contents below hold the word "in", as a bare number.

Data
____________
Computed, not measured: a geometry-optimized Sr3GaBr7 structure at the PBE level of DFT.

a = 9.1313 Å, b = 9.1313 Å, c = 10.1580 Å
α = 90.00°, β = 90.00°, γ = 107.50°
Last column: nearest neighbours and their distance in Å.
Atoms (fractional coordinates):
Sr (0.0012, 0.0012, 0.0000)  8 Br 3.16-3.36
Sr (0.0389, 0.5070, 0.2506)  7 Br 3.05-3.25
Sr (0.4930, 0.9611, 0.2494)  7 Br 3.05-3.25
Sr (0.5070, 0.0389, 0.7494)  7 Br 3.05-3.25
Sr (0.9611, 0.4930, 0.7506)  7 Br 3.05-3.25
Sr (0.9988, 0.9988, 0.5000)  8 Br 3.16-3.36
Ga (0.4980, 0.4980, 0.5000)  6 Br 3.02-3.21
Ga (0.5020, 0.5020, 0.0000)  6 Br 3.02-3.21
Br (0.1271, 0.8729, 0.2500)  4 Sr 3.16-3.19
Br (0.1344, 0.3830, 0.5219)  3 Sr 3.14-3.36, 1 Ga 3.17
Br (0.1339, 0.3828, 0.9792)  3 Sr 3.14-3.33, 1 Ga 3.21
Br (0.1412, 0.8588, 0.7500)  4 Sr 3.25-3.28
Br (0.3828, 0.1339, 0.0208)  3 Sr 3.14-3.33, 1 Ga 3.21
Br (0.3830, 0.1344, 0.4781)  3 Sr 3.14-3.36, 1 Ga 3.17
Br (0.3895, 0.6105, 0.2500)  2 Ga 3.02, 2 Sr 3.05
Br (0.6105, 0.3895, 0.7500)  2 Ga 3.02, 2 Sr 3.05
Br (0.6172, 0.8661, 0.5208)  3 Sr 3.14-3.33, 1 Ga 3.21
Br (0.6170, 0.8656, 0.9781)  3 Sr 3.14-3.36, 1 Ga 3.17
Br (0.8588, 0.1412, 0.2500)  4 Sr 3.25-3.28
Br (0.8656, 0.6170, 0.0219)  3 Sr 3.14-3.36, 1 Ga 3.17
Br (0.8661, 0.6172, 0.4792)  3 Sr 3.14-3.33, 1 Ga 3.21
Br (0.8729, 0.1271, 0.7500)  4 Sr 3.16-3.19

* space group: C222_1, No. 20
* raw formation energy: -1795 meV per atom
* total magnetic moment: 0.00 μB per formula unit
* calculated total energy: -0.1320 hartree per atom



Computed, not measured: a geometry-optimized Sr5GaBr5 structure at the PBE level of DFT.

a = 8.2300 Å, b = 8.2300 Å, c = 9.2426 Å
α = 106.74°, β = 106.74°, γ = 45.03°
Last column: nearest neighbours and their distance in Å.
Atoms (fractional coordinates):
Sr (0.0000, 0.0000, 0.0000)  2 Ga 3.15, 2 Br 3.52
Sr (0.3512, 0.3512, 0.6893)  1 Ga 3.05, 5 Br 3.24-3.29
Sr (0.3542, 0.3542, 0.1637)  1 Ga 3.05, 5 Br 3.20-3.27
____________

Done
2